How To Use HubSpot for Fundraising

These days, fundraising is more than galas and neighborhood car washes. Technology has revolutionized how for-profit and nonprofit organizations are able to engage with supporters, and one popular tool has become indispensable to nonprofits: HubSpot.

While HubSpot is renowned for its comprehensive marketing, sales, and service software suite, using HubSpot for fundraising is an excellent option for nonprofits who need to engage with donors and meet fundraising goals.

If you’re still thinking—wait for a second—HubSpot is for marketing, not fundraising, then we’re going to be the first ones to stop you right there and tell you that it can be used for both.

HubSpot might have been built with marketing and sales in mind, but it’s an absolute game-changer for nonprofits. To illustrate this point, we’ve compiled a complete guide to HubSpot for fundraising to help you consider whether this tool is the right choice for your next fundraising initiative.

A Hubspot logo that is green to represent money that also has a fundraising chart on it.

How Can HubSpot Be Used for Fundraising?

HubSpot was initially created to help companies with their inbound marketing. So, if you’re thinking that it’s not a tool to help your fundraising—that might have been correct—over 15 years ago!

Today, its capabilities go well beyond standard CRM functions, and many of the features that are used for “traditional” marketing can be seamlessly adapted for fundraising purposes. Just like businesses that use HubSpot to market their products and services, nonprofits can flip these same tactics on their head and use them for fundraising, too.

“The key to better fundraising and better marketing lies in the data, and HubSpot offers a CRM that ties together your fundraising, marketing, communications, and other tools so that you can leverage that data for incredible personalization and automation,” says Andi Graham, CEO at Big Sea.

Nonprofits can use pipelines and tracking metrics to enhance their fundraising efforts and also lean on some of the more popular HubSpot features to help with:

  • Lead generation
  • Creating donor personas
  • Managing donor data
  • Marketing campaigns

Generating Leads: HubSpot’s marketing tools can help attract and grow the donor pipeline by optimizing digital presence. From nonprofit content marketing strategies to email marketing, HubSpot makes it easier to attract visitors to your site and convert them into potential fundraising leads. You can even use HubSpot’s lead scoring tool to get a jump start on evaluating which leads to invest your time in—which is invaluable when there is never enough time in the day.

Creating donor personas: Understanding donors is crucial. With HubSpot, you can segment your audience and create detailed donor personas, enhancing the personalization of your fundraising campaigns. By using contact properties, you can establish lists of your different personas based on criteria: what cause they donated to, what region they are in, etc.

Managing donor data: HubSpot’s CRM offers data management features that track every step your donor takes. From daily interactions to donor retention metrics, HubSpot is the one-stop spot for providing documented insights. You can even keep track of all communications with your donors by connecting your email account to HubSpot. Also, keeping your donor information in one place is a great way to manage and track all current and potential donors and the best place to set up a legacy donor program.

Marketing your nonprofit: Competition and budgets are tight for nonprofits out there, and many must prioritize their marketing budget. Combining a tool that can work for marketing and fundraising goals is a two-birds-with-one-stone situation. Using HubSpot, nonprofits can run campaigns to promote their core services and also fundraising initiatives.

With so many plates spinning at your nonprofit, it is challenging to manage and monitor all of your donors. HubSpot can handle the donor management while you focus on building true, authentic relationships with your donors, keeping them invested in your mission without missing a beat.

What HubSpot Tools Are Best for Fundraising?

HubSpot isn’t just a single program designed to solve one problem; it’s a collection of Hubs designed to address the different facets of your business. If one of your business needs is fundraising, then there are a few “Hubs” that can significantly impact your fundraising efforts. Let’s explore them in detail:

Marketing Hub

The Marketing Hub is the cornerstone for nonprofit fundraising. It provides a wide range of features to boost outreach and engagement through the following:

  • Paid Media: Use HubSpot’s tools to manage and optimize your paid media campaigns. Whether using Google Ads or social media ads, HubSpot’s Ad Management capabilities help track performance and refine strategies to maximize ROI.
  • Social media: Tired of logging into 3 different social accounts to share your holiday donation drive? HubSpot removes the overwhelming feeling of managing multiple social platforms by giving you a singular space to manage them all—or at least Facebook, Instagram, X, LinkedIn, and YouTube. Build out your campaigns in the Marketing Hub to schedule posts, monitor interactions, and analyze engagement to strengthen your social media presence. You can easily build out and schedule weeks of content to your connected platforms all in one place.
  • Lists (audiences): Segment your audience into targeted lists based on what’s important for your campaigns. You can focus on demographics or interests and then curate the list of donors and apply HubSpot’s lead scoring technique to help segment each list for granular tracking and personalized and effective communication.
  • Building an email list: Grow your email list using landing pages and lead capture forms. Your fundraising email list is vital for reaching potential donors and engaging with current supporters. You can also easily create a list out of imported contacts when transitioning onto HubSpot so you don’t lose any key donors when getting setup.
  • Prospecting and nurturing: Automate the lead nurturing process with personalized workflows and follow-ups. You don’t want your potential and actual donors to get lost in the funnel. This step ensures that they do not fall off and stay engaged and connected. Set up a workflow to reengage with donors who haven’t donated in a year to bring your cause back to their attention without having to lift another finger after it is set up.
  • Complete donor lifecycle management: You want to provide your potential and actual donors with a smooth journey from beginning to end. Using HubSpot will track the entire lifecycle, providing feedback along the way. Limit manual management by using HubSpot’s automation tools to move donors into the proper lifecycle stage based upon their activity.

Sales Hub

The Sales Hub works seamlessly with the Marketing Hub, offering additional tools that streamline donor management and enhance relationship-building. The Sales Hub can help you in the following ways:

  • Deal pipelines: Customize deal pipelines to track donations through all the funnel stages. The pipeline will start with the initial interest phase and end with the final contribution or legacy donations. Deal pipelines can help your business manage and forecast fundraising goals more effectively.
  • Automated follow-ups: Like the Marketing Hub, the Sales Hub can help with automated follow-up emails and reminders to keep donors engaged and encourage recurring donations.
  • Reporting and dashboards: HubSpot can be used for so many projects that a customizable dashboard is a must. These customizable dashboards can be used to monitor fundraising activities, track progress, and assess the effectiveness of different strategies. Set a campaign tag to all of your marketing collateral in HubSpot and you can monitor the performance of all of your efforts for that campaign with a custom report.

HubSpot’s customizable dashboards can be created to turn your fundraising data into actionable insights. You can create custom dashboards to display specific fundraising data or goals and create quick, unique reports. With these personalized reports, HubSpot can quickly drive decision-making and enable you to assess your campaigns’ effectiveness in real time.

Content Hub

Nonprofit content marketing strategies are often plagued by limited resources or tight budgets, making it challenging to produce high-quality content. However, using the Content Hub, you can build out relevant content and easily manage your website and brand. Some of the Content Hubs perks include:

  • Website management: Create and maintain a professional, user-friendly website that can effectively communicate your fundraising mission and engage with potential donors.
  • Landing pages: Design and optimize landing pages for specific campaigns or donation drives. These landing pages make it easy for visitors to take action on new or old fundraising campaigns.
  • Content personalization: Deliver personalized content based on user behavior and preferences to enhance engagement and conversion rates.

“One of the most impressive things that HubSpot can do—and honestly what makes it worth the investment—is the personalization possible in your communications based on data in your CRM. For instance, we have an automated email welcome series set up for new donors, but that series changes based on what we know about the donor, whether their gift is one-time or recurring, if they’ve given in the past, or what the designation is. No other nonprofit marketing tools can get that personalized—and personalization is key to better fundraising and stewardship.”


-Andi Graham, Big Sea, CEO & Managing Partner

Reporting and Analytics

How can you determine if your fundraising efforts reach the right audience without proper reporting and analytics? The solution is to use HubSpot’s reporting and analytics tools. These data and analytics tools are crucial for assessing your fundraising performance and for making informed, data-driven decisions in the following ways:

  • Campaign performance: Monitor the success of your fundraising campaigns with detailed reports on email open rates, click-through rates, and conversion metrics.
  • Donor insights: Gain insights into donor behavior and preferences, enabling you to tailor your strategies and improve engagement.
  • ROI tracking: Measure the return on investment for various fundraising activities and adjust your strategies to optimize results.


HubSpot’s integrations with other tools can enhance HubSpot’s functionality and streamline your fundraising processes. Using HubSpot in conjunction with other third-party applications can keep your data in one location. Some of the options below are integrations that HubSpot fundraisers find helpful:

[Misplaced data records]
'''
No. 1
Here is an isolated molecule of C8H7BrClN3OS in a non-equilibrium geometry from the OMol25 dataset. Energies are from wB97M-V/def2-TZVPD.

Gap between HOMO and LUMO in eV: 9.483
Calculated total energy in hartree: -3980.82942
Energy above the lowest of the compared OMol25 structures with the same formula, charge and spin in kcal per mole: 0.0

Element x y z (Å)
C: 3.1745 -0.1660 0.8986
S: 1.4610 -0.5622 0.7299
O: 0.8227 -0.3021 1.9634
N: 1.2520 -2.0066 0.2423
C: 1.3423 -2.6713 -0.9092
N: 1.2979 -3.3061 -1.8425
C: 0.7042 0.5743 -0.6804
Br: 1.3798 2.3586 -0.4332
C: -0.7572 0.4930 -0.5362
C: -1.2893 1.3274 0.4219
C: -2.6400 1.3823 0.6488
C: -3.4145 0.4451 -0.0838
Cl: -5.0599 0.3860 0.1480
N: -2.8932 -0.4888 -0.8428
C: -1.5563 -0.5107 -1.0382
H: 3.7453 -1.0272 0.7116
H: 3.2198 0.4237 -0.0288
H: 3.2101 0.4823 1.8891
H: 0.9725 0.3817 -1.7673
H: -0.6136 1.9947 0.9299
H: -3.0398 2.0747 1.4012
H: -1.3181 -1.2829 -1.8222

***

No. 2
Here is an isolated molecule of C21H30N4O from the OMol25 dataset. Energies are from wB97M-V/def2-TZVPD.

Gap between HOMO and LUMO in eV: 8.879
Calculated total energy in hartree: -1112.54069
Energy above the lowest of the compared OMol25 structures with the same formula, charge and spin in kcal per mole: 0.0

Element x y z (Å)
C: -5.1082 -0.2863 0.7444
C: -3.6852 -0.6793 0.4779
C: -2.7017 -0.3225 1.3818
C: -1.3859 -0.6805 1.1200
N: -0.2368 -0.4372 1.8400
C: 0.7059 -1.0042 1.1456
N: 0.2721 -1.6084 0.0078
C: -1.0792 -1.4174 -0.0532
C: -2.0621 -1.7759 -0.9595
C: -3.3667 -1.3994 -0.6927
C: -4.4512 -1.7667 -1.6606
C: 1.2954 -2.2553 -0.7611
C: 2.5560 -2.1224 0.1276
C: 3.7220 -1.4241 -0.5671
C: 3.4569 0.0557 -0.2626
C: 2.5049 0.6617 -1.3106
O: 2.5832 0.3710 -2.4907
N: 1.6483 1.5523 -0.7996
C: 0.7144 2.3020 -1.6071
C: -0.7334 2.1888 -1.1253
C: -1.1323 3.2225 -0.0656
C: -2.6323 3.1139 0.2018
C: -0.3541 3.0494 1.2375
N: 2.8768 0.1153 1.0723
C: 3.8050 0.4667 2.1251
C: 2.1805 -1.1544 1.2925
H: -5.7509 -1.1648 0.7900
H: -5.4846 0.3594 -0.0487
H: -5.1862 0.2473 1.6880
H: -2.9420 0.2220 2.2820
H: -1.8164 -2.3308 -1.8530
H: -4.9547 -0.8745 -2.0312
H: -5.2012 -2.3941 -1.1798
H: -4.0409 -2.3087 -2.5088
H: 1.4281 -1.7529 -1.7247
H: 1.0366 -3.3025 -0.9471
H: 2.8437 -3.1021 0.5112
H: 3.7477 -1.6009 -1.6404
H: 4.6718 -1.7382 -0.1320
H: 4.3752 0.6493 -0.3098
H: 1.6181 1.6359 0.2076
H: 1.0164 3.3565 -1.6267
H: 0.8111 1.9004 -2.6195
H: -1.3878 2.3198 -1.9897
H: -0.9073 1.1854 -0.7342
H: -0.9249 4.2229 -0.4663
H: -2.8701 2.1254 0.5859
H: -3.1994 3.2738 -0.7129
H: -2.9460 3.8561 0.9323
H: -0.7693 3.6979 2.0064
H: 0.6913 3.3214 1.1090
H: -0.4156 2.0222 1.5908
H: 3.2525 0.5479 3.0601
H: 4.2409 1.4391 1.8994
H: 4.6175 -0.2627 2.2542
H: 2.4352 -1.5565 2.2772

***

No. 3
Here is a cluster of 2 separate species, C3H10NS3 in total in a non-equilibrium geometry from the OMol25 dataset. Energies are from wB97M-V/def2-TZVPD.

Net charge: +1
Gap between HOMO and LUMO in eV: 7.101
Calculated total energy in hartree: -1369.31745
'''

  • Payment processors: Fundraisers need a platform that allows people to donate easily. While HubSpot isn’t a bank and can’t handle financial transactions directly, it can integrate with payment processors to manage transactions smoothly and securely.
  • Donorbox or Gravyty: In HubSpot, you will have pipelines and lead generation on lock. However, there might be a time when you want to focus more on fundraising-specific apps like Donorbox or Gravyty to manage donations and donor information within HubSpot. Luckily, HubSpot can integrate with these third-party platforms with ease.
  • Event management: If your fundraising event is in-person, integrate with event management tools like Cvent to handle registrations, track attendance, and effectively follow up with participants. This is perfect for nonprofits like museums or zoos that rely on in-person events and need additional help to track events.

Common Challenges of Using HubSpot for Fundraising

Nonprofits using HubSpot for fundraising may encounter several challenges despite its powerful tools. The platform’s extensive features can be complex and overwhelming for those unfamiliar with its interface. Proper training and support might be necessary to use all HubSpot tools efficiently.

While HubSpot offers a free version to use its platform, it is very limited. These limitations push users up to the first pricing tier, which can quickly become expensive for nonprofits with a limited budget. Unfortunately, many might get priced out.

== Inserted here: calculated molecules ==
********
7
Properties=species:S:1:pos:R:3:forces:R:3:mulliken_charge:R:1 method="wB97M-V/def2-TZVPD" homo_energy_ev="-9.331 / -8.572" lumo_energy_ha="-0.05272 / -0.03075" de_lowest_ev=2.726 gap_ev="7.8963 / 7.7353"
I 1.134839 0.435202 -2.488343 1.3 0.6 -1.0 0.11
Br 1.105801 1.571145 0.957609 0.1 0.3 0.3 -0.05
F 0.747762 -0.916061 1.961995 -0.3 0.4 -0.2 -0.16
F -0.980185 0.380693 2.226545 0.4 -0.1 -0.3 -0.16
O -1.477325 -1.039789 -2.313108 0.6 0.3 0.2 -0.26
C 0.054143 0.096156 1.442101 -0.2 -0.5 0.4 0.36
C -0.585036 -0.527345 -1.786800 -1.9 -1.0 0.7 0.17

6
Properties=species:S:1:pos:R:3:forces:R:3:mulliken_charge:R:1 method="wB97M-V/def2-TZVPD" homo_energy_ev=-9.575 lumo_energy_ha=0.02636 de_lowest_ev=0.000 smiles="FC(F)=C(Cl)Cl" gap_ev=10.2921
Cl 1.696958 -1.282959 -0.005217 0.0 -0.4 0.0 -0.15
Cl 1.307696 1.569931 0.031399 0.3 0.8 -0.1 -0.14
F -1.435022 -1.185415 0.060445 0.5 -0.1 -0.1 -0.20
F -1.477016 0.960599 -0.033973 -0.5 0.4 0.0 -0.19
C 0.616999 0.031184 -0.038077 -0.8 -0.7 0.2 0.34
C -0.709615 -0.093342 -0.014579 0.5 0.0 0.1 0.34

7
Properties=species:S:1:pos:R:3:forces:R:3:mulliken_charge:R:1 method="wB97M-V/def2-TZVPD" homo_energy_ev=-9.666 lumo_energy_ha=-0.00679 de_lowest_ev=0.399 smiles="F/C(Cl)=C(/F)SCl" gap_ev=9.4811
Cl -1.704037 -0.285939 -1.934707 -0.3 -0.3 -1.3 -0.13
Cl 1.998435 -1.015686 1.923498 0.3 -0.4 0.2 -0.11
S 1.165006 0.741327 1.455224 -2.0 -0.8 -2.7 0.02
F -1.900623 0.250328 0.480495 0.1 -0.1 0.4 -0.20
F 1.164020 0.119111 -1.200665 0.6 -0.5 -1.0 -0.21
C -0.994834 0.053299 -0.471062 -2.1 0.1 0.8 0.57
C 0.272033 0.137560 -0.252783 3.4 2.0 3.6 0.05

6
Properties=species:S:1:pos:R:3:forces:R:3:mulliken_charge:R:1 method="wB97M-V/def2-TZVPD" homo_energy_ev=-12.058 lumo_energy_ha=0.00992 de_lowest_ev=0.000 smiles=N#CC(F)(Cl)Cl gap_ev=12.3282
Cl 1.775856 -0.795452 -0.441194 -0.7 0.4 0.3 -0.11
Cl 0.389712 1.796523 -0.460112 0.0 -0.1 -0.2 -0.10
F 0.403694 0.231885 1.489392 0.1 -0.4 0.4 -0.15
N -2.000951 -0.867488 -0.500713 1.5 0.3 0.3 -0.28
C -0.928852 -0.508823 -0.248566 -0.7 0.1 0.0 -0.03
C 0.360543 0.143356 0.161191 -0.2 -0.3 -0.8 0.67

7
Properties=species:S:1:pos:R:3:forces:R:3:mulliken_charge:R:1 method="wB97M-V/def2-TZVPD" homo_energy_ev=-9.348 lumo_energy_ha=-0.03609 de_lowest_ev=2.780 gap_ev=8.3662
Cl -1.089774 1.246266 -0.942437 0.0 -0.5 -0.4 -0.06
Cl 3.002466 0.229378 1.022122 1.9 -0.5 -0.1 -0.02
Cl 0.663220 -1.318321 0.996095 0.4 -0.7 0.1 -0.03
F -2.307709 -0.543262 0.256104 -0.6 0.1 0.5 -0.15
O -1.328296 -1.348848 -1.498653 0.3 0.3 -0.8 -0.34
C 1.382804 0.205096 1.096349 -2.1 1.1 0.3 0.07
C -1.577244 -0.420398 -0.832520 0.0 0.2 0.4 0.53

9
Properties=species:S:1:pos:R:3:forces:R:3:mulliken_charge:R:1 method="wB97M-V/def2-TZVPD" charge=-1 homo_energy_ev="-4.412 / -4.426" lumo_energy_ha="0.11341 / 0.11349" de_lowest_ev=1.614 gap_ev="7.4974 / 7.5139"
Cl -1.024587 0.544028 -2.353601 -1.2 0.5 -1.3 -0.14
Cl 1.777060 1.524338 -2.245059 -0.1 0.0 -0.4 -0.19
Cl 2.062189 -0.285376 0.370161 3.5 0.0 0.6 -0.17
********

Finally, if companies are using various third-party tools and want to integrate with HubSpot, technical expertise might be needed. Integrating HubSpot with other systems or platforms can present technical difficulties that require careful management and expertise.

Best Practices for Using HubSpot for Fundraising

If you have decided the best option is to use HubSpot for fundraising, there are ways to maximize its effectiveness. Follow some of these best practices as you work your way through the platform to get the most out of your services:

Customize your dashboard & CRM

When you begin, you should immediately tailor your HubSpot CRM to fit your nonprofit’s specific needs. This includes setting up specific properties and pipelines and personalized dashboards to manage all events and fundraising activities.

Leverage automation options

== What comes next are data records, not part of the piece ==
=====
# 1
Formula: C9H22FNO5S2
Source: OMol25
Level of theory: the ωB97M-V functional and the def2-TZVPD basis

```
40
Properties=species:S:1:pos:R:3
O -0.0809 -5.3585 5.1628
S -0.3554 -5.6858 3.7524
O 0.4467 -6.7682 3.1649
F -1.9380 -6.1433 3.6858
N -0.3011 -4.2871 2.8095
C 1.0304 -4.0376 2.2217
C 0.8399 -2.8702 1.1525
C -0.4420 -3.1795 0.2669
S -1.9190 -2.1630 0.7208
H -0.6975 -3.4767 3.2835
H 1.4778 -4.9533 1.7718
H 1.7863 -3.6534 2.9637
H 0.6027 -1.9529 1.7544
H 1.7565 -2.7103 0.5401
H -0.1888 -2.9572 -0.8043
H -0.7275 -4.2644 0.2822
H -1.5373 -1.1683 1.5995
C 2.7042 3.4251 -0.1727
O 1.7595 3.2812 -1.2130
C 1.8225 2.0033 -1.8341
C 0.4535 1.5883 -2.3497
O -0.4324 1.1324 -1.3298
C -0.9496 2.1231 -0.4449
C -1.9753 3.0437 -1.0867
O -1.3382 4.0120 -1.9088
C -2.1335 4.3943 -3.0136
H 3.7233 3.4038 -0.5740
H 2.5287 4.3863 0.3104
H 2.5794 2.6368 0.5773
H 2.1874 1.2464 -1.1313
H 2.5226 2.0782 -2.6750
H 0.5939 0.7281 -3.0099
H -0.0081 2.3725 -2.9502
H -0.1449 2.6831 0.0328
H -1.4552 1.5624 0.3463
H -2.5216 3.5832 -0.3037
H -2.6837 2.4433 -1.6677
H -2.4081 3.5197 -3.6132
H -1.5434 5.0641 -3.6389
H -3.0338 4.9182 -2.6777
```

The SMILES is O=S(=O)(F)NCCCS.COCCOCCOC. The calculation puts the energy above the lowest of the compared OMol25 structures with the same formula, charge and spin at 0.000 eV. As for the calculated total energy: -45802.174 eV.


# 2
Formula: C9H22N2Si
Source: OMol25
Level of theory: the ωB97M-V functional and the def2-TZVPD basis

```
34
Properties=species:S:1:pos:R:3
C -1.1717 2.4904 1.0607
C -0.0232 1.4836 1.1240
C 1.2899 2.2426 0.7197
Si -0.1302 0.0191 -0.2161
N -1.7986 -0.2551 -0.5876
C -2.7210 -1.0600 0.1477
C -2.2699 -0.0665 -1.9526
N 0.3921 -1.4083 0.6652
C 1.7793 -1.3284 1.1056
C -0.1354 -2.7786 0.2563
H -2.0671 1.9280 1.5853
H -0.8993 3.2723 1.7123
H -1.4761 2.6207 -0.0019
H 0.1220 1.0536 2.1527
H 1.1564 2.8471 -0.1430
H 2.0695 1.4802 0.4334
H 1.5948 2.8290 1.6261
H 0.7369 0.4638 -1.3856
H -3.5833 -0.3511 0.2863
H -2.9891 -1.8681 -0.4392
H -2.4613 -1.5095 1.1149
H -3.3774 0.1718 -1.9507
H -1.6295 0.6986 -2.4055
H -2.1143 -0.9898 -2.5671
H 2.4201 -1.6368 0.2485
H 1.9528 -0.2764 1.3215
H 1.9867 -1.9583 1.9254
H 0.4862 -3.6004 0.7443
H -1.1675 -2.9429 0.7037
H -0.1363 -2.9481 -0.7787
C 4.5359 -0.4902 -1.7716
C 4.6401 0.5793 -1.2179
H 4.2504 -1.2043 -2.4895
H 5.0451 1.2568 -0.5289
```

The SMILES is CC(C)[SiH](N(C)C)N(C)C.C#C. The calculation puts the energy above the lowest of the compared OMol25 structures with the same formula, charge and spin at 4.144 eV. As for the calculated total energy: -20544.414 eV.


# 3
Formula: C9H22N2Si
Source: OMol25
Level of theory: the ωB97M-V functional and the def2-TZVPD basis

```
34
Properties=species:S:1:pos:R:3
C -1.1933 2.6974 -1.8667
C -0.0442 1.7626 -1.8771
Si 0.8697 0.9121 -0.6278
C 1.0615 1.4570 1.1331
C -0.2765 2.0434 1.6613
C -0.1192 2.7894 2.9550
N 1.5913 -0.5495 -1.1533
C 1.1931 -1.2945 -2.3329
C 1.4629 -2.8317 -2.2544
H -1.1192 3.4086 -0.9897
H -2.1389 1.9557 -1.7480
=====
== The piece goes on ==

When correctly used, HubSpot automation tools can streamline your fundraising processes and improve efficiency. Automation can be set up for all sorts of things, like donor follow-ups to social media posts.

Always regularly review your data

The dashboard setup will help you, but it is only helpful if you check back up on your reports. Set up campaigns, continuously analyze your data, and adjust your strategies based on performance insights.

Invest in training

HubSpot might be complicated to set up and run, but it has robust user training modules. Ensure your team takes the time to go through the modules or hire a company that knows a little something about HubSpot for Nonprofits.

How Can an Agency Help My Nonprofit Use HubSpot for Fundraising?

HubSpot can be complex, but partnering with the right agency simplifies the process. A good HubSpot partner can take the guesswork out of implementing and running HubSpot, maximizing the platform’s full potential, and helping you achieve your fundraising goals. Hiring an agency can help your nonprofit with the following:

  • Specialized knowledge and experience
  • Training and ongoing support
  • Customized strategy and execution

HubSpot for Nonprofits FAQs

What is HubSpot for Nonprofits?

HubSpot for Nonprofits is a suite of tools specifically tailored to nonprofit organizations. It is offered to nonprofits at a reduced price and includes features and functionalities that help manage fundraising, donor relationships, and marketing efforts.

How Much Does HubSpot Cost for Nonprofits?

HubSpot offers various pricing plans based on features, Hubs needed, and usage. Nonprofits can receive a discounted plan, but they need to meet the requirements to determine whether they are qualified, so contact HubSpot directly for details on nonprofit pricing options.

Trust Big Sea to Help Your Nonprofit Amplify Fundraising by Using HubSpot

Navigating the complexities of HubSpot for fundraising can be challenging, but your nonprofit can achieve remarkable results with the right support. Trust Big Sea to help your nonprofit leverage HubSpot to enhance fundraising efforts, streamline processes, and drive meaningful engagement with donors.

Contact us today to learn how we can help your organization harness HubSpot’s full potential and achieve your fundraising goals.